┌──
# 1
{"formula": "C3H6O", "method": "the ωB97M-V functional and the def2-TZVPD basis", "species": ["C", "C", "C", "O", "H", "H", "H", "H", "H", "H"], "positions_angstrom": [[1.080, 0.252, 0.942], [0.112, -0.342, 0.256], [-0.845, 0.445, -0.600], [0.157, -1.680, -0.027], [1.228, 1.331, 0.986], [1.848, -0.211, 1.544], [-0.475, 0.408, -1.622], [-1.887, 0.195, -0.416], [-0.639, 1.507, -0.451], [-0.579, -1.905, -0.612]], "atomic_forces_ev_per_a": [[0.51, 0.56, 0.88], [0.77, 0.59, -1.24], [1.14, 0.85, 0.31], [-0.44, -0.26, 0.45], [-0.81, -0.16, -0.14], [-0.07, -0.77, -0.29], [-0.65, -0.88, -0.47], [-0.05, 0.02, -0.41], [-0.56, 0.01, 0.68], [0.15, 0.05, 0.24]], "relative_energy_ev": 0.972, "homo_lumo_gap_ev": 9.71, "smiles": "C=C(C)O", "e_tot_ev": -5254.7218, "largest_force_ev_per_a": 1.574}

# 2
{"formula": "C3H6O", "method": "the ωB97M-V functional and the def2-TZVPD basis", "species": ["C", "C", "C", "O", "H", "H", "H", "H", "H", "H"], "positions_angstrom": [[0.245, -1.069, 1.041], [0.077, 0.053, 0.299], [-0.349, 0.216, -1.119], [0.574, 1.194, 0.948], [0.032, -2.173, 0.821], [0.756, -1.204, 1.959], [-1.281, 0.720, -1.346], [0.359, 1.061, -1.645], [-0.265, -0.629, -1.753], [-0.148, 1.832, 0.795]], "atomic_forces_ev_per_a": [[-0.70, -2.10, -1.84], [1.29, -1.73, 2.02], [1.79, 3.36, -1.42], [-1.42, 0.31, -0.98], [-0.25, 1.94, -1.00], [0.35, 1.43, 1.05], [-0.72, -0.24, 0.63], [-1.09, -2.14, 1.42], [0.02, -1.06, -0.18], [0.74, 0.23, 0.29]], "relative_energy_ev": 1.619, "homo_lumo_gap_ev": 9.91, "smiles": "C=C(C)O", "e_tot_ev": -5254.0752, "largest_force_ev_per_a": 4.062}

# 3
{"formula": "C3H6O", "method": "the ωB97M-V functional and the def2-TZVPD basis", "species": ["C", "C", "C", "O", "H", "H", "H", "H", "H", "H"], "positions_angstrom": [[-1.226, 0.109, -0.184], [0.114, 0.162, 0.435], [1.332, -0.401, -0.104], [1.085, 0.996, -0.234], [-1.303, -0.440, -1.180], [-1.593, 1.219, -0.280], [-1.917, -0.479, 0.533], [0.089, 0.427, 1.497], [1.258, -0.919, -1.020], [2.161, -0.674, 0.537]], "atomic_forces_ev_per_a": [[-2.31, -0.02, -0.30], [0.43, 1.16, 0.68], [0.30, 0.35, 0.50], [-0.11, -0.22, -0.01], [0.37, 0.98, 1.18], [0.38, -2.21, 0.07], [0.85, 1.12, -1.11], [0.04, -0.40, -0.17], [0.02, -0.73, -0.95], [0.03, -0.03, 0.09]], "relative_energy_ev": 1.562, "homo_lumo_gap_ev": 11.39, "smiles": "C[C@H]1CO1", "e_tot_ev": -5254.1325, "largest_force_ev_per_a": 2.330}

# 4
{"formula": "C3H6O", "method": "the ωB97M-V functional and the def2-TZVPD basis", "species": ["C", "C", "C", "O", "H", "H", "H", "H", "H", "H"], "positions_angstrom": [[-1.365, 0.450, 1.188], [-0.270, -0.190, 0.739], [0.005, -0.105, -0.767], [1.435, -0.275, -0.923], [-1.364, 0.441, 2.267], [-2.150, 0.746, 0.502], [0.607, -0.108, 1.369], [-0.368, 0.881, -1.059], [-0.466, -0.993, -1.250], [1.774, 0.373, -1.539]], "atomic_forces_ev_per_a": [[1.28, -1.95, 0.28], [-0.50, 3.07, -1.20], [0.85, -1.75, 1.16], [-0.58, 0.35, -0.09], [-0.99, 0.77, 0.15], [-0.28, 0.05, 0.50], [0.09, -1.19, 0.18], [0.18, -0.43, -0.64], [-0.05, 0.99, -0.16], [0.00, 0.09, -0.18]], "relative_energy_ev": 1.804, "homo_lumo_gap_ev": 10.73, "smiles": "C=CCO", "e_tot_ev": -5253.8900, "largest_force_ev_per_a": 3.336}

# 5
{"formula": "C3H6O", "method": "the ωB97M-V functional and the def2-TZVPD basis", "species": ["C", "C", "C", "O", "H", "H", "H", "H", "H", "H"], "positions_angstrom": [[1.529, -0.068, 0.349], [0.239, -0.243, 0.025], [-0.992, 0.636, 0.021], [-0.082, -1.458, -0.486], [1.887, 0.864, 0.919], [2.367, -0.574, 0.013], [-1.235, 0.810, -1.065], [-1.877, 0.176, 0.319], [-0.847, 1.602, 0.617], [-0.988, -1.744, -0.711]], "atomic_forces_ev_per_a": [[-1.14, 3.91, 1.57], [-0.74, -0.58, 0.08], [2.01, 2.46, -0.44], [0.45, -2.02, -0.98], [-1.12, -1.19, -1.09], [0.90, -1.88, -0.52], [0.61, 0.48, 0.86], [-1.26, -1.18, 1.24], [-0.26, -1.24, -1.14], [0.55, 1.25, 0.42]], "relative_energy_ev": 1.421, "homo_lumo_gap_ev": 9.43, "smiles": "C=C(C)O", "e_tot_ev": -5254.2736, "largest_force_ev_per_a": 4.363}

# 6
└──
Your job: search the data further above for the word "smiles" and reproduce each line that has it.
{"formula": "C3H6O", "method": "the ωB97M-V functional and the def2-TZVPD basis", "species": ["C", "C", "C", "O", "H", "H", "H", "H", "H", "H"], "positions_angstrom": [[1.080, 0.252, 0.942], [0.112, -0.342, 0.256], [-0.845, 0.445, -0.600], [0.157, -1.680, -0.027], [1.228, 1.331, 0.986], [1.848, -0.211, 1.544], [-0.475, 0.408, -1.622], [-1.887, 0.195, -0.416], [-0.639, 1.507, -0.451], [-0.579, -1.905, -0.612]], "atomic_forces_ev_per_a": [[0.51, 0.56, 0.88], [0.77, 0.59, -1.24], [1.14, 0.85, 0.31], [-0.44, -0.26, 0.45], [-0.81, -0.16, -0.14], [-0.07, -0.77, -0.29], [-0.65, -0.88, -0.47], [-0.05, 0.02, -0.41], [-0.56, 0.01, 0.68], [0.15, 0.05, 0.24]], "relative_energy_ev": 0.972, "homo_lumo_gap_ev": 9.71, "smiles": "C=C(C)O", "e_tot_ev": -5254.7218, "largest_force_ev_per_a": 1.574}
{"formula": "C3H6O", "method": "the ωB97M-V functional and the def2-TZVPD basis", "species": ["C", "C", "C", "O", "H", "H", "H", "H", "H", "H"], "positions_angstrom": [[0.245, -1.069, 1.041], [0.077, 0.053, 0.299], [-0.349, 0.216, -1.119], [0.574, 1.194, 0.948], [0.032, -2.173, 0.821], [0.756, -1.204, 1.959], [-1.281, 0.720, -1.346], [0.359, 1.061, -1.645], [-0.265, -0.629, -1.753], [-0.148, 1.832, 0.795]], "atomic_forces_ev_per_a": [[-0.70, -2.10, -1.84], [1.29, -1.73, 2.02], [1.79, 3.36, -1.42], [-1.42, 0.31, -0.98], [-0.25, 1.94, -1.00], [0.35, 1.43, 1.05], [-0.72, -0.24, 0.63], [-1.09, -2.14, 1.42], [0.02, -1.06, -0.18], [0.74, 0.23, 0.29]], "relative_energy_ev": 1.619, "homo_lumo_gap_ev": 9.91, "smiles": "C=C(C)O", "e_tot_ev": -5254.0752, "largest_force_ev_per_a": 4.062}
{"formula": "C3H6O", "method": "the ωB97M-V functional and the def2-TZVPD basis", "species": ["C", "C", "C", "O", "H", "H", "H", "H", "H", "H"], "positions_angstrom": [[-1.226, 0.109, -0.184], [0.114, 0.162, 0.435], [1.332, -0.401, -0.104], [1.085, 0.996, -0.234], [-1.303, -0.440, -1.180], [-1.593, 1.219, -0.280], [-1.917, -0.479, 0.533], [0.089, 0.427, 1.497], [1.258, -0.919, -1.020], [2.161, -0.674, 0.537]], "atomic_forces_ev_per_a": [[-2.31, -0.02, -0.30], [0.43, 1.16, 0.68], [0.30, 0.35, 0.50], [-0.11, -0.22, -0.01], [0.37, 0.98, 1.18], [0.38, -2.21, 0.07], [0.85, 1.12, -1.11], [0.04, -0.40, -0.17], [0.02, -0.73, -0.95], [0.03, -0.03, 0.09]], "relative_energy_ev": 1.562, "homo_lumo_gap_ev": 11.39, "smiles": "C[C@H]1CO1", "e_tot_ev": -5254.1325, "largest_force_ev_per_a": 2.330}
{"formula": "C3H6O", "method": "the ωB97M-V functional and the def2-TZVPD basis", "species": ["C", "C", "C", "O", "H", "H", "H", "H", "H", "H"], "positions_angstrom": [[-1.365, 0.450, 1.188], [-0.270, -0.190, 0.739], [0.005, -0.105, -0.767], [1.435, -0.275, -0.923], [-1.364, 0.441, 2.267], [-2.150, 0.746, 0.502], [0.607, -0.108, 1.369], [-0.368, 0.881, -1.059], [-0.466, -0.993, -1.250], [1.774, 0.373, -1.539]], "atomic_forces_ev_per_a": [[1.28, -1.95, 0.28], [-0.50, 3.07, -1.20], [0.85, -1.75, 1.16], [-0.58, 0.35, -0.09], [-0.99, 0.77, 0.15], [-0.28, 0.05, 0.50], [0.09, -1.19, 0.18], [0.18, -0.43, -0.64], [-0.05, 0.99, -0.16], [0.00, 0.09, -0.18]], "relative_energy_ev": 1.804, "homo_lumo_gap_ev": 10.73, "smiles": "C=CCO", "e_tot_ev": -5253.8900, "largest_force_ev_per_a": 3.336}
{"formula": "C3H6O", "method": "the ωB97M-V functional and the def2-TZVPD basis", "species": ["C", "C", "C", "O", "H", "H", "H", "H", "H", "H"], "positions_angstrom": [[1.529, -0.068, 0.349], [0.239, -0.243, 0.025], [-0.992, 0.636, 0.021], [-0.082, -1.458, -0.486], [1.887, 0.864, 0.919], [2.367, -0.574, 0.013], [-1.235, 0.810, -1.065], [-1.877, 0.176, 0.319], [-0.847, 1.602, 0.617], [-0.988, -1.744, -0.711]], "atomic_forces_ev_per_a": [[-1.14, 3.91, 1.57], [-0.74, -0.58, 0.08], [2.01, 2.46, -0.44], [0.45, -2.02, -0.98], [-1.12, -1.19, -1.09], [0.90, -1.88, -0.52], [0.61, 0.48, 0.86], [-1.26, -1.18, 1.24], [-0.26, -1.24, -1.14], [0.55, 1.25, 0.42]], "relative_energy_ev": 1.421, "homo_lumo_gap_ev": 9.43, "smiles": "C=C(C)O", "e_tot_ev": -5254.2736, "largest_force_ev_per_a": 4.363}